-- Request --
Now write out everything below with every line break kept.

-- Input --
____________
(1)
{"formula": "CH4N3O2", "method": "wB97M-V/def2-TZVPD", "e_homo_ha": -0.1489, "spin_multiplicity": 1, "total_charge": -1, "relative_energy_kcal_mol": 70.9, "orbital_gap_ev": 8.6, "smiles": "NCN=[N+]([O-])[O-]", "elements": ["C", "N", "N", "N", "O", "O", "H", "H", "H", "H"], "xyz": [[0.48358, -0.37271, -0.75661], [0.74113, -0.63851, 0.52078], [-1.25108, -0.20553, -0.97679], [0.49795, 0.12862, 1.48471], [0.01683, 1.27296, 1.34185], [0.76970, -0.32751, 2.60595], [0.97813, 0.47369, -1.18885], [0.64807, -1.15437, -1.48590], [-1.41617, 0.17061, 0.03856], [-1.46813, 0.65275, -1.58370]], "atomic_forces_ev_per_a": [[-3.982, 1.555, -2.839], [1.425, -3.607, 0.442], [1.692, 1.905, 1.702], [0.209, 0.409, 0.578], [-0.445, 0.838, -0.189], [0.004, 0.358, 1.212], [0.097, 1.313, -0.116], [0.302, -0.789, 0.562], [-0.003, -0.626, -2.504], [0.703, -1.357, 1.153]], "mulliken_charge": [-0.180, -0.743, -0.746, 1.164, -0.723, -0.753, 0.226, 0.266, 0.292, 0.198]}


(2)
____________

-- Response --
(1)
{"formula": "CH4N3O2", "method": "wB97M-V/def2-TZVPD", "e_homo_ha": -0.1489, "spin_multiplicity": 1, "total_charge": -1, "relative_energy_kcal_mol": 70.9, "orbital_gap_ev": 8.6, "smiles": "NCN=[N+]([O-])[O-]", "elements": ["C", "N", "N", "N", "O", "O", "H", "H", "H", "H"], "xyz": [[0.48358, -0.37271, -0.75661], [0.74113, -0.63851, 0.52078], [-1.25108, -0.20553, -0.97679], [0.49795, 0.12862, 1.48471], [0.01683, 1.27296, 1.34185], [0.76970, -0.32751, 2.60595], [0.97813, 0.47369, -1.18885], [0.64807, -1.15437, -1.48590], [-1.41617, 0.17061, 0.03856], [-1.46813, 0.65275, -1.58370]], "atomic_forces_ev_per_a": [[-3.982, 1.555, -2.839], [1.425, -3.607, 0.442], [1.692, 1.905, 1.702], [0.209, 0.409, 0.578], [-0.445, 0.838, -0.189], [0.004, 0.358, 1.212], [0.097, 1.313, -0.116], [0.302, -0.789, 0.562], [-0.003, -0.626, -2.504], [0.703, -1.357, 1.153]], "mulliken_charge": [-0.180, -0.743, -0.746, 1.164, -0.723, -0.753, 0.226, 0.266, 0.292, 0.198]}


(2)